_Excerpt_
=====
1.
A relaxed structure of Na4YTa3O12. Source: Alexandria via LeMat-Bulk, functional PBE.

Results
crystal system = cubic
volume = 13.798 A^3/atom
formation energy from raw total energies = -48.26 eV/f.u.
total DFT energy (no corrections) = -0.570 Ry per atom
density = 5.51 g/cm³

a b c (Å): 7.104 7.104 7.104
angles (deg): 109.47 109.47 109.47
Sites, in units of the cell vectors:
Na 0.000 0.000 0.500
Na 0.000 0.500 0.000
Na 0.500 0.000 0.000
Na 0.500 0.500 0.500
Y 0.000 0.000 0.000
Ta 0.000 0.500 0.500
Ta 0.500 0.000 0.500
Ta 0.500 0.500 0.000
O 0.000 0.266 0.266
O 0.000 0.734 0.734
O 0.250 0.500 0.750
O 0.250 0.750 0.500
O 0.266 0.000 0.266
O 0.266 0.266 0.000
O 0.500 0.250 0.750
O 0.500 0.750 0.250
O 0.734 0.000 0.734
O 0.734 0.734 0.000
O 0.750 0.250 0.500
O 0.750 0.500 0.250

2.
A relaxed structure of Na3TaZn2O6. Source: Alexandria via LeMat-Bulk, functional PBE.

Results
crystal system = monoclinic
volume = 11.535 A^3/atom
formation energy from raw total energies = -23.25 eV/f.u.
total DFT energy (no corrections) = -0.437 Ry per atom
density = 5.72 g/cm³

a b c (Å): 5.409 5.409 5.751
angles (deg): 99.06 99.06 119.92
Sites, in units of the cell vectors:
Na 0.000 0.000 0.000
Na 0.326 0.674 0.000
Na 0.674 0.326 0.000
Ta 0.500 0.500 0.500
Zn 0.166 0.834 0.500
Zn 0.834 0.166 0.500
O 0.120 0.431 0.292
O 0.258 0.258 0.707
O 0.431 0.120 0.292
O 0.569 0.880 0.708
O 0.742 0.742 0.293
O 0.880 0.569 0.708

3.
A relaxed structure of Na2TaZn2O6. Source: Alexandria via LeMat-Bulk, functional PBE.

Results
crystal system = trigonal
volume = 12.488 A^3/atom
formation energy from raw total energies = -19.49 eV/f.u.
total DFT energy (no corrections) = -0.443 Ry per atom
density = 5.48 g/cm³

a b c (Å): 5.294 5.294 5.660
angles (deg): 90.00 90.00 120.00
Sites, in units of the cell vectors:
Na 0.333 0.667 0.000
Na 0.667 0.333 0.000
Ta 0.000 0.000 0.500
Zn 0.333 0.667 0.500
Zn 0.667 0.333 0.500
O 0.000 0.319 0.697
O 0.000 0.681 0.303
O 0.319 0.000 0.697
O 0.319 0.319 0.303
O 0.681 0.000 0.303
O 0.681 0.681 0.697

4.
A relaxed structure of Na2TaZnO. Source: Alexandria via LeMat-Bulk, functional PBE.

Results
crystal system = tetragonal
volume = 24.352 A^3/atom
formation energy from raw total energies = 6.23 eV/f.u.
total DFT energy (no corrections) = -0.213 Ry per atom
density = 4.20 g/cm³

a b c (Å): 4.961 4.961 4.947
angles (deg): 90.00 90.00 90.00
Sites, in units of the cell vectors:
Na 0.000 0.500 0.000
Na 0.500 0.000 0.000
Ta 0.000 0.000 0.500
Zn 0.000 0.000 0.000
O 0.500 0.500 0.500

5.
A relaxed structure of NaZrTaO6. Source: Alexandria via LeMat-Bulk, functional PBE.

Results
crystal system = trigonal
volume = 13.737 A^3/atom
formation energy from raw total energies = -20.62 eV/f.u.
total DFT energy (no corrections) = -0.589 Ry per atom
density = 5.25 g/cm³

a b c (Å): 5.509 5.509 4.704
angles (deg): 90.00 90.00 120.00
Sites, in units of the cell vectors:
Na 0.000 0.000 0.000
Zr 0.667 0.333 0.500
Ta 0.333 0.667 0.000
O 0.009 0.403 0.238
O 0.009 0.606 0.762
O 0.394 0.403 0.762
O 0.394 0.991 0.238
O 0.597 0.606 0.238
O 0.597 0.991 0.762

6.
A relaxed structure of Na2ZrTaO6. Source: Alexandria via LeMat-Bulk, functional PBE.

Results
crystal system = monoclinic
volume = 13.116 A^3/atom
formation energy from raw total energies = -24.99 eV/f.u.
total DFT energy (no corrections) = -0.572 Ry per atom
density = 5.24 g/cm³

a b c (Å): 5.665 5.741 9.854
angles (deg): 90.00 125.06 90.00
Sites, in units of the cell vectors:
Na 0.246 0.019 0.250
Na 0.246 0.481 0.750
Na 0.754 0.519 0.250
Na 0.754 0.981 0.750
Zr 0.500 0.000 0.000
Zr 0.500 0.500 0.500
Ta 0.000 0.000 0.500
Ta 0.000 0.500 0.000
O 0.175 0.224 0.966
O 0.175 0.276 0.466
O 0.244 0.710 0.967
O 0.244 0.790 0.467
O 0.308 0.014 0.743
O 0.308 0.486 0.243
O 0.692 0.514 0.757
O 0.692 0.986 0.257
O 0.756 0.210 0.533
O 0.756 0.290 0.033
O 0.825 0.724 0.534
O 0.825 0.776 0.034

7.
A relaxed structure of Na3ZrTa2O9. Source: Alexandria via LeMat-Bulk, functional PBE.

Results
crystal system = trigonal
=====

_Request_
Could you set down all of the contents further above character by character?

_Reply_
1.
A relaxed structure of Na4YTa3O12. Source: Alexandria via LeMat-Bulk, functional PBE.

Results
crystal system = cubic
volume = 13.798 A^3/atom
formation energy from raw total energies = -48.26 eV/f.u.
total DFT energy (no corrections) = -0.570 Ry per atom
density = 5.51 g/cm³

a b c (Å): 7.104 7.104 7.104
angles (deg): 109.47 109.47 109.47
Sites, in units of the cell vectors:
Na 0.000 0.000 0.500
Na 0.000 0.500 0.000
Na 0.500 0.000 0.000
Na 0.500 0.500 0.500
Y 0.000 0.000 0.000
Ta 0.000 0.500 0.500
Ta 0.500 0.000 0.500
Ta 0.500 0.500 0.000
O 0.000 0.266 0.266
O 0.000 0.734 0.734
O 0.250 0.500 0.750
O 0.250 0.750 0.500
O 0.266 0.000 0.266
O 0.266 0.266 0.000
O 0.500 0.250 0.750
O 0.500 0.750 0.250
O 0.734 0.000 0.734
O 0.734 0.734 0.000
O 0.750 0.250 0.500
O 0.750 0.500 0.250

2.
A relaxed structure of Na3TaZn2O6. Source: Alexandria via LeMat-Bulk, functional PBE.

Results
crystal system = monoclinic
volume = 11.535 A^3/atom
formation energy from raw total energies = -23.25 eV/f.u.
total DFT energy (no corrections) = -0.437 Ry per atom
density = 5.72 g/cm³

a b c (Å): 5.409 5.409 5.751
angles (deg): 99.06 99.06 119.92
Sites, in units of the cell vectors:
Na 0.000 0.000 0.000
Na 0.326 0.674 0.000
Na 0.674 0.326 0.000
Ta 0.500 0.500 0.500
Zn 0.166 0.834 0.500
Zn 0.834 0.166 0.500
O 0.120 0.431 0.292
O 0.258 0.258 0.707
O 0.431 0.120 0.292
O 0.569 0.880 0.708
O 0.742 0.742 0.293
O 0.880 0.569 0.708

3.
A relaxed structure of Na2TaZn2O6. Source: Alexandria via LeMat-Bulk, functional PBE.

Results
crystal system = trigonal
volume = 12.488 A^3/atom
formation energy from raw total energies = -19.49 eV/f.u.
total DFT energy (no corrections) = -0.443 Ry per atom
density = 5.48 g/cm³

a b c (Å): 5.294 5.294 5.660
angles (deg): 90.00 90.00 120.00
Sites, in units of the cell vectors:
Na 0.333 0.667 0.000
Na 0.667 0.333 0.000
Ta 0.000 0.000 0.500
Zn 0.333 0.667 0.500
Zn 0.667 0.333 0.500
O 0.000 0.319 0.697
O 0.000 0.681 0.303
O 0.319 0.000 0.697
O 0.319 0.319 0.303
O 0.681 0.000 0.303
O 0.681 0.681 0.697

4.
A relaxed structure of Na2TaZnO. Source: Alexandria via LeMat-Bulk, functional PBE.

Results
crystal system = tetragonal
volume = 24.352 A^3/atom
formation energy from raw total energies = 6.23 eV/f.u.
total DFT energy (no corrections) = -0.213 Ry per atom
density = 4.20 g/cm³

a b c (Å): 4.961 4.961 4.947
angles (deg): 90.00 90.00 90.00
Sites, in units of the cell vectors:
Na 0.000 0.500 0.000
Na 0.500 0.000 0.000
Ta 0.000 0.000 0.500
Zn 0.000 0.000 0.000
O 0.500 0.500 0.500

5.
A relaxed structure of NaZrTaO6. Source: Alexandria via LeMat-Bulk, functional PBE.

Results
crystal system = trigonal
volume = 13.737 A^3/atom
formation energy from raw total energies = -20.62 eV/f.u.
total DFT energy (no corrections) = -0.589 Ry per atom
density = 5.25 g/cm³

a b c (Å): 5.509 5.509 4.704
angles (deg): 90.00 90.00 120.00
Sites, in units of the cell vectors:
Na 0.000 0.000 0.000
Zr 0.667 0.333 0.500
Ta 0.333 0.667 0.000
O 0.009 0.403 0.238
O 0.009 0.606 0.762
O 0.394 0.403 0.762
O 0.394 0.991 0.238
O 0.597 0.606 0.238
O 0.597 0.991 0.762

6.
A relaxed structure of Na2ZrTaO6. Source: Alexandria via LeMat-Bulk, functional PBE.

Results
crystal system = monoclinic
volume = 13.116 A^3/atom
formation energy from raw total energies = -24.99 eV/f.u.
total DFT energy (no corrections) = -0.572 Ry per atom
density = 5.24 g/cm³

a b c (Å): 5.665 5.741 9.854
angles (deg): 90.00 125.06 90.00
Sites, in units of the cell vectors:
Na 0.246 0.019 0.250
Na 0.246 0.481 0.750
Na 0.754 0.519 0.250
Na 0.754 0.981 0.750
Zr 0.500 0.000 0.000
Zr 0.500 0.500 0.500
Ta 0.000 0.000 0.500
Ta 0.000 0.500 0.000
O 0.175 0.224 0.966
O 0.175 0.276 0.466
O 0.244 0.710 0.967
O 0.244 0.790 0.467
O 0.308 0.014 0.743
O 0.308 0.486 0.243
O 0.692 0.514 0.757
O 0.692 0.986 0.257
O 0.756 0.210 0.533
O 0.756 0.290 0.033
O 0.825 0.724 0.534
O 0.825 0.776 0.034

7.
A relaxed structure of Na3ZrTa2O9. Source: Alexandria via LeMat-Bulk, functional PBE.

Results
crystal system = trigonal